Given:
=====
Record 1
2 unconnected molecules or ions with the total composition C4H6NS. Source: OMol25; level of theory: the ωB97M-V functional and the def2-TZVPD basis.

ΔE to the lowest compared entry with this formula, charge and spin (kJ/mol): 674.0
Total charge: +1
E_LUMO (alpha / beta) (eV): -7.124 / -5.884
Frontier orbital gap (alpha / beta) (eV): 6.11 / 6.94

Positions of all 12 atoms, in Å:
C (-0.406, -1.860, 0.612)
C (-0.330, 1.461, -0.143)
C (0.065, -0.805, 0.281)
C (1.971, 0.591, 0.054)
N (0.450, 0.483, -0.043)
S (-4.013, -0.082, -0.049)
H (-0.922, -2.775, 0.708)
H (-0.015, 2.474, -0.578)
H (2.337, -0.207, -0.509)
H (2.164, 0.458, 1.136)
H (2.191, 1.402, -0.625)
H (-3.491, -1.141, -0.843)

Forces on atoms 1 to 3 (eV/Å):
0.4461 1.3214 -0.8628
0.5838 1.4429 -1.5513
-1.3688 -0.3514 0.3836

Atom charges from the natural (NBO) analysis, given in e for atoms 1 to 6:
1 C -0.034
2 C 0.477
3 C 0.050
4 C -0.392
5 N -0.385
6 S -0.086

=====

Record 2
2 unconnected molecules or ions with the total composition C4H6NS. Source: OMol25; level of theory: the ωB97M-V functional and the def2-TZVPD basis.

ΔE to the lowest compared entry with this formula, charge and spin (kJ/mol): 597.0
Total charge: +1
E_LUMO (eV): -5.601
Frontier orbital gap (eV): 7.48

Positions of all 12 atoms, in Å:
C (-3.547, -0.717, -0.059)
C (-1.888, 1.026, 0.161)
C (0.106, -0.121, 0.186)
C (2.858, -0.086, -0.005)
N (-2.740, 0.159, -0.020)
S (1.327, 0.870, 0.045)
H (-3.931, -1.054, -1.034)
H (-1.709, 1.934, 0.669)
H (-0.120, -1.222, 0.057)
H (2.775, -0.978, -0.503)
H (3.296, -0.327, 0.952)
H (3.573, 0.515, -0.448)

Forces on atoms 1 to 3 (eV/Å):
-1.8182 -2.1187 -0.9591
3.3312 -2.0433 -0.3857
-3.7827 0.6408 -0.7022

Atom charges from the natural (NBO) analysis, given in e for atoms 1 to 6:
1 C 0.161
2 C 0.138
3 C -0.386
4 C -0.783
5 N -0.369
6 S 0.721

=====

Record 3
A single C4H6O molecule. Source: OMol25; level of theory: the ωB97M-V functional and the def2-TZVPD basis.

SMILES: C=C[C@H]1CO1
ΔE to the lowest compared entry with this formula, charge and spin (kJ/mol): 335.0
E_LUMO (eV): 0.754
Frontier orbital gap (eV): 9.15

Positions of all 11 atoms, in Å:
C (-1.779, -0.088, -0.626)
C (-0.914, -0.696, 0.221)
C (0.132, 0.299, 0.540)
C (1.399, -0.393, 0.048)
O (0.889, 0.783, -0.565)
H (-2.843, -0.040, -0.386)
H (-1.452, 0.355, -1.570)
H (-1.263, -1.357, 1.019)
H (0.134, 0.862, 1.477)
H (2.302, -0.269, 0.653)
H (1.471, -1.241, -0.641)

Forces on atoms 1 to 3 (eV/Å):
-1.2087 -1.4479 -0.1489
-3.2898 3.3621 0.3203
4.2203 -4.0726 -1.3276

Atom charges from the natural (NBO) analysis, given in e for atoms 1 to 6:
1 C -0.334
2 C -0.247
3 C 0.024
4 C -0.118
5 O -0.487
6 H 0.189

=====

Record 4
A single C4H6O molecule. Source: OMol25; level of theory: the ωB97M-V functional and the def2-TZVPD basis.

ΔE to the lowest compared entry with this formula, charge and spin (kJ/mol): 338.0
E_LUMO (eV): 0.735
Frontier orbital gap (eV): 9.34

Positions of all 11 atoms, in Å:
C (-0.878, 0.916, -0.350)
C (-0.808, -0.424, 0.342)
C (2.035, -1.050, -0.603)
O (1.471, 0.123, -0.597)
C (0.387, 0.462, 0.285)
H (-1.425, 1.730, 0.117)
H (-0.904, 0.907, -1.436)
H (-1.304, -0.556, 1.299)
H (-0.803, -1.310, -0.288)
H (1.467, -1.673, 0.147)
H (0.760, 0.955, 1.177)

Forces on atoms 1 to 3 (eV/Å):
-0.0303 0.1565 -0.0939
-0.0512 -0.1757 0.0728
-0.3384 0.2383 0.1812

Atom charges from the natural (NBO) analysis, given in e for atoms 1 to 6:
1 C -0.431
2 C -0.449
3 C 0.133
4 O -0.466
5 C 0.052
6 H 0.223

=====

Record 5
2 unconnected molecules or ions with the total composition C4H6O. Source: OMol25; level of theory: the ωB97M-V functional and the def2-TZVPD basis.

SMILES: C1=CC1.C=O
ΔE to the lowest compared entry with this formula, charge and spin (kJ/mol): 284.8
E_LUMO (eV): 0.982
Frontier orbital gap (eV): 10.64

Positions of all 11 atoms, in Å:
C (-0.651, -0.031, 1.103)
C (-0.835, 0.960, 0.291)
C (-1.421, -0.350, -0.146)
H (-0.246, -0.419, 2.025)
H (-0.690, 1.998, 0.031)
H (-2.502, -0.500, -0.089)
=====

Exercise:
What is needed: start at the top of the block earlier on and print each line, ending with the one that has "-0.626)".

Worked solution:
Record 1
2 unconnected molecules or ions with the total composition C4H6NS. Source: OMol25; level of theory: the ωB97M-V functional and the def2-TZVPD basis.

ΔE to the lowest compared entry with this formula, charge and spin (kJ/mol): 674.0
Total charge: +1
E_LUMO (alpha / beta) (eV): -7.124 / -5.884
Frontier orbital gap (alpha / beta) (eV): 6.11 / 6.94

Positions of all 12 atoms, in Å:
C (-0.406, -1.860, 0.612)
C (-0.330, 1.461, -0.143)
C (0.065, -0.805, 0.281)
C (1.971, 0.591, 0.054)
N (0.450, 0.483, -0.043)
S (-4.013, -0.082, -0.049)
H (-0.922, -2.775, 0.708)
H (-0.015, 2.474, -0.578)
H (2.337, -0.207, -0.509)
H (2.164, 0.458, 1.136)
H (2.191, 1.402, -0.625)
H (-3.491, -1.141, -0.843)

Forces on atoms 1 to 3 (eV/Å):
0.4461 1.3214 -0.8628
0.5838 1.4429 -1.5513
-1.3688 -0.3514 0.3836

Atom charges from the natural (NBO) analysis, given in e for atoms 1 to 6:
1 C -0.034
2 C 0.477
3 C 0.050
4 C -0.392
5 N -0.385
6 S -0.086

=====

Record 2
2 unconnected molecules or ions with the total composition C4H6NS. Source: OMol25; level of theory: the ωB97M-V functional and the def2-TZVPD basis.

ΔE to the lowest compared entry with this formula, charge and spin (kJ/mol): 597.0
Total charge: +1
E_LUMO (eV): -5.601
Frontier orbital gap (eV): 7.48

Positions of all 12 atoms, in Å:
C (-3.547, -0.717, -0.059)
C (-1.888, 1.026, 0.161)
C (0.106, -0.121, 0.186)
C (2.858, -0.086, -0.005)
N (-2.740, 0.159, -0.020)
S (1.327, 0.870, 0.045)
H (-3.931, -1.054, -1.034)
H (-1.709, 1.934, 0.669)
H (-0.120, -1.222, 0.057)
H (2.775, -0.978, -0.503)
H (3.296, -0.327, 0.952)
H (3.573, 0.515, -0.448)

Forces on atoms 1 to 3 (eV/Å):
-1.8182 -2.1187 -0.9591
3.3312 -2.0433 -0.3857
-3.7827 0.6408 -0.7022

Atom charges from the natural (NBO) analysis, given in e for atoms 1 to 6:
1 C 0.161
2 C 0.138
3 C -0.386
4 C -0.783
5 N -0.369
6 S 0.721

=====

Record 3
A single C4H6O molecule. Source: OMol25; level of theory: the ωB97M-V functional and the def2-TZVPD basis.

SMILES: C=C[C@H]1CO1
ΔE to the lowest compared entry with this formula, charge and spin (kJ/mol): 335.0
E_LUMO (eV): 0.754
Frontier orbital gap (eV): 9.15

Positions of all 11 atoms, in Å:
C (-1.779, -0.088, -0.626)